Three studies published in the journal Gut over the past 5 years describe how the gut microbiome of African infants is affected not only by dietary iron but also by the combination of iron with antibiotics – a widely prescribed medication in developing countries. These studies involved collaborations between researchers from Switzerland,1 Kenya2, South Africa3 and the Netherlands4.
Iron-deficiency anaemia in childhood is a common problem in many parts of the world. Although full-term babies are born with iron stores accumulated in the womb, these stores last only four to six months. At this point they are dependent on the iron in breast milk or in iron-fortified formula. And once infants start eating solids, additional iron is needed in the form of fortified cereals and other iron-rich foods. However, the staple cereal flours on which children in developing countries are often weaned contain insufficient iron. World Health Organization guidelines therefore recommend iron supplementation in areas with a high prevalence of iron deficiency (WHO 2001). Such in-home iron fortification programmes are in place in many countries, including Sub-Saharan Africa.
Much of the iron in an infant’s diet is not absorbed into the blood but remains in the gut and passes into the colon, where it can cause problems: an excess of iron in the colon is thought to favour the growth of pathogenic bacteria, at the expense of other more beneficial bacterial species. And it is this shift that is thought to cause the higher levels of diarrhoea sometimes seen in infants receiving extra dietary iron.
To determine whether or not this is the case, the first study looked at the effects of two widely used iron-containing food supplements on the gut microbiome of Kenyan infants prone to diarrhoeal disease (Jaeggi T. et al.2015). The microbiome composition was analysed by 16S rDNA sequencing and targeted real-time quantitative PCR.
The researchers found that infants receiving iron supplements had not only a slightly higher risk of diarrhoea but also a relatively higher abundance of potentially pathogenic subgroups of bacteria such as pathogenic E. coli, and a relatively lower abundance of protective bifidobacteria. This was seen for both the high-dose (12.5 mg iron per day) and low-dose (2.5 mg iron per day) micronutrient powders used in the study. The findings suggest that iron fortification may indeed cause a shift in gut microbial balance away from beneficial ‘barrier’ strains towards a potentially more pathogenic profile.
Jaeggi et al.’s findings suggest that the the iron dose in food supplements should be as low as possible while retaining efficacy against anaemia. In the second study, the researchers therefore tested a safer iron formulation in a similar population of Kenyan infants (Paganini D. et al.2017). The micronutrient powder that they tested contained iron at a relatively low dose but in a highly bioavailable form. The powder also contained galacto-oligosaccharides – a prebiotic added to some commercial infant formulas to promote the growth of beneficial bacteria. They wanted to determine whether this new formulation could maintain and/or promote growth of beneficial bacteria in the infant gut and whether a low dose of iron (5 mg iron per day) was sufficient to treat anaemia. As before, the microbiome composition was analysed by 16S rDNA sequencing, and the abundance of gut pathogens by quantitative PCR.
Compared with infants receiving a micronutrient powder containing the new iron formulation only, infants who received the new iron formulation plus the prebiotic had several advantages: not only were they less likely to have anaemia, they also had relatively higher abundances of protective Bifidobacterium and Lactobacillus, and relatively lower abundances of pathogens. The findings of this 2017 study indicate that the iron dose in micronutrient powders can indeed be reduced to 5 mg while maintaining efficacy, and that a low dose of iron given with prebiotics may be beneficial in offsetting the adverse effects of iron on the infant gut.
In Sub-Saharan Africa where the first two studies took place, besides being given extra iron, infants are often commonly prescribed antibiotics – particularly for life-threatening bacterial infections that cause diarrhoea and respiratory illnesses. Given that antibiotics also modify the gut microbiome, a logical next step for the researchers was to see what happens when infants receive both iron and antibiotics (Paganini D. et al.2019). They were particularly interested in determining whether antibiotic activity in the gut might be affected by the presence of iron. As in the previous studies, the gut microbiome composition was assessed by 16S rDNA sequencing and the abundance of enteropathogens by quantitative PCR.
Despite the relatively small sample size of this study (just 28 Kenyan infants took part), the researchers saw a clear effect of the presence of iron: in infants receiving antibiotics but no iron, antibiotic efficacy against potential enteropathogens was relatively high, and the abundance of protective Bifidobacterium remained high after antibiotic treatment. However, in infants receiving antibiotics plus iron-containing micronutrient powders, they noticed that antibiotics were less effective against potential enteropathogens and that Bifidobacterium was less abundant in the gut. The researchers concluded that if their findings are confirmed in larger trials then it may be necessary for health-care practitioners to consider temporarily discontinuing iron supplements for infants during antibiotic treatment.
In summary, these three studies highlight how dietary iron can be detrimental to the infant gut microbiome and why even a low dose of iron may reduce the effectiveness of antibiotics in this vulnerable group of patients. They also show how some of these problems may be addressed by giving infants a safer iron formulation by adding a prebiotic. Such solutions will undoubtedly be the topic of future studies, which will continue to make use of state of the art next-generation sequencing and bioinformatics methods for profiling of bacterial DNA in faecal samples. The three studies described here, exemplify the use of such techniques and future analyses with shotgun metagenomic sequencing will provide higher-resolution analysis of complex microbiome samples, including insight in microbial gene functions and strain-level identification of microbes.
- Switzerland:
- Department of Health Sciences and Technology, ETH Zurich, Zurich.
- Health Systems Support Unit, Swiss Tropical and Public Health Institute, Basel.
(Inserted here: records of molecules)
********
[1]
The following is a DFT calculation (ωB97M-V with the def2-TZVPD basis set) of C6H4AuCl2N2O3Tl as an isolated structure.

Summary:
- total charge = +4
- ⟨S²⟩ = 2.014
- highest occupied orbital energy (alpha / beta) (eV) = -23.5258 / -23.4881
- spin multiplicity = 3
- relative energy (zero: lowest compared OMol25 entry of this formula, charge and spin) (kcal per mole) = 39.3

```
19
C6H4AuCl2N2O3Tl, DFT ωB97M-V with the def2-TZVPD basis set
Tl -2.2701 0.7262 -4.5418
Au -0.1761 -0.4464 0.4316
Cl -0.1112 1.9149 -3.1944
Cl -2.3951 -0.3800 0.3374
C 0.5310 -1.6525 1.7624
C -2.4259 2.6947 -2.3413
C -3.7209 -0.0796 -2.4750
O 0.6350 -1.9925 2.8750
O -2.6194 3.2810 -1.3838
O -4.6202 -0.3100 -1.7984
N 2.3670 1.2321 -0.3126
C 3.6816 1.0563 -0.5894
C 3.8847 -0.3306 -0.7037
C 2.6452 -0.9393 -0.5169
N 1.7394 0.0273 -0.1860
H 1.8063 2.0869 -0.4142
H 4.3720 1.8967 -0.6219
H 4.8162 -0.8419 -0.9131
H 2.3364 -1.9779 -0.6319
```



[2]
The following is a DFT calculation (ωB97M-V with the def2-TZVPD basis set) of one molecule with the formula C8H8N2S.

Summary:
- structure (SMILES) = Cc1ccc2nc(N)sc2c1
- highest occupied orbital energy (eV) = -8.0822
- relative energy (zero: lowest compared OMol25 entry of this formula, charge and spin) (kcal per mole) = 0.0

```
19
C8H8N2S, DFT ωB97M-V with the def2-TZVPD basis set
C -2.4121 -1.4461 -2.7142
C -1.5364 -1.1054 -1.5226
C -1.4519 -2.0017 -0.4328
C -0.6795 -1.7372 0.6747
C 0.0586 -0.5362 0.7070
N 0.9021 -0.1447 1.7534
C 1.4481 0.9931 1.4762
N 2.2697 1.6719 2.3326
S 1.0024 1.7259 -0.0694
C -0.0131 0.3387 -0.3796
C -0.8045 0.0696 -1.4993
H -2.2009 -2.4514 -3.1224
H -2.2927 -0.6938 -3.5288
H -3.4554 -1.4515 -2.4393
H -2.0465 -2.8963 -0.4363
H -0.6272 -2.4210 1.5029
H 2.9583 2.2666 1.9269
H 2.6030 1.1289 3.0861
H -0.8346 0.7651 -2.3371
```



[3]
The following is a DFT calculation (ωB97M-V with the def2-TZVPD basis set) of one molecule with the formula C4H7NO2.

Summary:
- highest occupied orbital energy (alpha / beta) (eV) = -7.6858 / -7.9255
- relative energy (zero: lowest compared OMol25 entry of this formula, charge and spin) (kcal per mole) = 101.3

```
14
C4H7NO2, DFT ωB97M-V with the def2-TZVPD basis set
O -2.0176 -0.2734 0.8522
C -1.0442 0.1101 -0.1123
C -0.1801 1.2367 0.4133
O 1.0657 1.3806 -0.0857
C 1.7740 0.3401 -0.3872
N 1.2292 -0.8757 -0.0155
C -0.1472 -1.0522 -0.5650
H -1.5834 -0.2211 1.7154
H -1.6371 0.4707 -0.9651
H -0.6470 2.2073 0.5311
H 0.9993 -0.6972 0.9857
H 2.8298 0.5127 -0.5626
H -0.1047 -1.1523 -1.6544
H -0.5366 -1.9863 -0.1500
```



[4]
The following is a DFT calculation (ωB97M-V with the def2-TZVPD basis set) of C16H40ClO2P2Si2Yb as an isolated structure.

Summary:
- total charge = +2
- ⟨S²⟩ = 0.751
- highest occupied orbital energy (alpha / beta) (eV) = -13.3780 / -13.3650
- spin multiplicity = 2
- relative energy (zero: lowest compared OMol25 entry of this formula, charge and spin) (kcal per mole) = 27.5

```
64
C16H40ClO2P2Si2Yb, DFT ωB97M-V with the def2-TZVPD basis set
********
- Kenya:
- International Center for Behavioural Studies, Mombasa.
- Department of Food, Technology and Nutrition, University of Nairobi, Nairobi.
- Department of Medical Epidemiology, College of Health Sciences, Jomo KenyattaUniversity of Agriculture and Technology, Nairobi.
- South Africa:
- University of KwaZulu-Natal, Durban.
- The Netherlands:
- Department of Laboratory Medicine, Radboud University Medical Center, Nijmegen.
/*
The following is a DFT calculation (ωB97M-V/def2-TZVPD) of a gas-phase ion, C11H21BrN3O2 (charge +1).

Molar mass   307.21 g/mol
SMILES string   C=CCN1[C@H](Br)C[N@H+](CC(=O)N(C)C)C[C@@H]1O
F_max   0.026 Eh/bohr
LUMO level   -3.21 eV
HOMO energy   -11.349 eV
Energy   -90346.71205 eV
Kohn-Sham gap   8.139 eV
Total charge   +1

Structure (XYZ):
```
38
Properties=species:S:1:pos:R:3:forces:R:3:mulliken_charge:R:1
C -0.55211 -4.76087 0.32189 -0.15 -0.24 0.23 -0.74
C -1.09027 -3.64977 -0.17881 0.24 0.29 0.14 -0.23
C -0.43448 -2.87148 -1.27422 0.30 0.44 0.82 -0.84
N -0.34407 -1.40476 -1.01713 0.18 -0.02 -0.65 0.43
C 0.97138 -0.92705 -1.37591 -0.30 -0.14 -0.12 -0.30
Br 2.29616 -1.50884 -0.06819 0.03 0.04 0.06 -0.09
C 1.10259 0.58857 -1.63361 0.34 0.10 0.24 -1.28
N -0.07278 1.47644 -1.28387 -0.22 -0.14 0.43 0.19
C 0.15888 2.32159 -0.05800 0.29 -0.02 -0.09 -1.20
C 0.41706 1.48378 1.19990 0.02 0.17 0.03 0.68
O -0.04323 0.37281 1.30085 0.20 -0.03 -0.18 -0.47
N 1.20229 2.10981 2.14273 -0.86 -0.27 0.39 0.01
C 1.36963 1.27225 3.34017 0.40 0.18 0.15 -0.93
C 0.72391 3.46570 2.48755 0.24 0.11 -0.45 -1.03
C -1.40254 0.75632 -1.26348 -0.45 0.08 -0.34 -0.78
C -1.32813 -0.67328 -1.78931 0.08 0.16 0.28 -0.25
O -2.58631 -1.23593 -1.55681 -0.05 0.01 0.04 -0.49
H 0.51008 -4.87645 0.51443 0.19 -0.38 -1.24 0.26
H -1.18407 -5.59473 0.60745 -0.06 0.42 1.13 0.27
H -2.02085 -3.25188 0.21432 -0.64 -0.60 -0.86 0.33
H -1.02576 -3.04370 -2.17931 0.04 0.00 -0.04 0.27
H 0.56112 -3.27727 -1.46224 0.02 0.03 0.05 0.61
H 1.29275 -1.41586 -2.30223 0.20 0.04 0.05 0.76
H 1.32410 0.75327 -2.68609 -0.19 -0.02 -0.06 0.36
H 1.95167 0.97797 -1.07804 0.01 -0.01 0.01 0.49
H -0.13971 2.16761 -2.02693 0.08 -0.12 -0.12 0.44
H -0.71343 2.96402 0.06087 0.00 0.01 0.01 0.39
H 1.03964 2.92697 -0.26813 -0.09 0.13 -0.03 0.54
H 0.41789 1.06177 3.83202 -0.03 -0.10 -0.10 0.36
H 1.87404 0.34869 3.07414 -0.17 -0.09 -0.04 0.28
H 2.00627 1.80944 4.03978 0.02 0.05 -0.04 0.38
H -0.34717 3.46177 2.71044 0.05 0.02 0.19 0.36
H 1.27897 3.81906 3.34985 -0.01 0.01 0.01 0.37
H 0.90155 4.16671 1.67112 0.05 0.00 0.02 0.33
H -1.79767 0.74051 -0.25510 0.22 -0.16 0.11 0.26
H -2.09811 1.31636 -1.88979 0.11 0.13 -0.01 0.44
H -1.08924 -0.68994 -2.87107 -0.09 -0.01 -0.02 0.42
H -3.13003 -1.17958 -2.34923 0.02 -0.07 -0.01 0.38
```
Positions in Å, forces in eV/Å.

~~~~~
*/
- NIZO, Ede
Jaeggi T, Kortman GA, Moretti D, Chassard C, Holding P, Dostal A, Boekhorst J, Timmerman HM, Swinkels DW, Tjalsma H, Njenga J, Mwangi A, Kvalsvig J, Lacroix C, and Zimmermann MB (2015) ‘Iron fortification adversely affects the gut microbiome, increases pathogen abundance and induces intestinal inflammation in Kenyan infants.’ Gut 64(5):731-42
Paganini D, Uyoga MA, Kortman GAM, Cercamondi CI, Moretti D, Barth-Jaeggi T, Schwab C, Boekhorst J, Timmerman HM, Lacroix C, Karanja S, Zimmermann MB (2017) ‘Prebiotic galacto-oligosaccharides mitigate the adverse effects of iron fortification on the gut microbiome: a randomised controlled study in Kenyan infants.’ Gut 66(11):1956-1967
Paganini D, Uyoga MA, Kortman GAM, Cercamondi CI, Winkler HC, Boekhorst J, Moretti D, Lacroix C, Karanja S, Zimmermann MB (2019) ‘Iron-containing micronutrient powders modify the effect of oral antibiotics on the infant gut microbiome and increase post-antibiotic diarrhoea risk: a controlled study in Kenya.’ Gut 68(4):645-653
World Health Organization. (2001) Iron Deficiency Anaemia: Assessment, Prevention, and Control. A Guide for Programme Managers. Retrieved from http://www.who.int/nutrition/publications/en/ida_assessment_prevention_control.pdf

Guus Kortman
Gut Microbiology and Nutrition Scientist